

The Study of the Preparation and Property of Inorganic Polyurethane Nanocomposites

【作者】 高晓燕

**Inserted here: crystal structures:**
~~~
A relaxed structure of NpCd2Ni2O6, computed with PBE+U.

```
NpCd2Ni2O6
1.0
2.774 -4.754 0.000
2.774 4.754 0.000
-2.032 0.000 5.503
Np Cd Ni O
1 2 2 6
direct
0.000 0.000 0.000
0.174 0.826 0.500
0.826 0.174 0.500
0.335 0.665 0.000
0.665 0.335 0.000
0.059 0.415 0.212
0.258 0.258 0.791
0.415 0.059 0.212
0.585 0.941 0.788
0.742 0.742 0.209
0.941 0.585 0.788
```

Properties
The value obtained for the volume is 13.20 A^3/atom. The value obtained for the total DFT energy (no corrections) is -65.88 eV/f.u.

~~~~~

(1)
# MnTcW

A relaxed structure of MnTcW (PBE, the Alexandria database).

Cell: 2.7388 3.7213 8.3208 Å, 90.00 90.00 90.00°
Space group Imm2 (No. 44)
Asymmetric unit:
Mn: 0.0000 0.0000 0.0000 [2 per cell]
Tc: 0.0000 0.0000 0.6538 [2 per cell]
W: 0.0000 0.0000 0.3317 [2 per cell]

The distance to the lowest polymorph of the same formula is 123.0 meV/atom. For the density of states at the Fermi level, the calculation gives 3.32 states/eV/f.u. Its raw total energy is -10.607 eV per atom. The calculation puts the formation energy at 0.2225 eV per atom. The value obtained for the magnetic moment is 1.545 Bohr magnetons per cell.

---

(2)
# MnTcW2

A relaxed structure of MnTcW2 (PBE, the Alexandria database).

Cell: 5.3996 8.7106 2.6893 Å, 90.00 109.55 90.00°
Space group C2/m (No. 12)
Asymmetric unit:
Mn: 0.0000 0.0000 0.0000 [2 per cell]
Tc: 0.0000 0.5000 0.0000 [2 per cell]
W: 0.2500 0.2500 0.5000 [4 per cell]

The distance to the lowest polymorph of the same formula is 27.7 meV/atom. For the density of states at the Fermi level, the calculation gives 3.17 states/eV/f.u. Its raw total energy is -11.259 eV per atom. The calculation puts the formation energy at 0.1020 eV per atom. The value obtained for the magnetic moment is 4.428 Bohr magnetons per cell.

---

(3)
# MnTcW3

A relaxed structure of MnTcW3 (PBE, the Alexandria database).

Cell: 4.4201 4.4201 4.4201 Å, 90.00 90.00 90.00°
Space group Pm-3m (No. 221)
Asymmetric unit:
Mn: 0.0000 0.0000 0.0000 [1 per cell]
Tc: 0.5000 0.5000 0.5000 [1 per cell]
W: 0.0000 0.0000 0.5000 [3 per cell]

The distance to the lowest polymorph of the same formula is 0.0 meV/atom. For the density of states at the Fermi level, the calculation gives 5.19 states/eV/f.u. Its raw total energy is -10.250 eV per atom. The calculation puts the formation energy at 1.4290 eV per atom. The value obtained for the magnetic moment is 0.000 Bohr magnetons per cell.

---

(4)
# Mn2TcW

A relaxed structure of Mn2TcW (PBE, the Alexandria database).

Cell: 2.6331 4.2803 4.8990 Å, 90.00 98.86 90.00°
Space group Pm (No. 6)
Asymmetric unit:
Mn: 0.0000 0.0000 0.0000 [1 per cell]
Mn: 0.1960 0.5000 0.7453 [1 per cell]
Tc: 0.7075 0.5000 0.2257 [1 per cell]
W: 0.4837 0.0000 0.5097 [1 per cell]
~~~

【导师】 王子忱;

【作者基本信息】 吉林大学 , 物理化学, 2011, 博士

【摘要】 聚氨酯作为一类性能优异的多用途高分子合成材料,广泛应用在涂料、建筑、机械、胶黏剂、合成革等行业。由于组成聚氨酯的软、硬链段化学结构的不同,其热力学不相容会引发微相分离,严重影响聚氨酯的性能,从而限制了聚氨酯产业的发展。为了拓展其应用,制备高性能的聚氨酯合成材料,需要对其进行改性。通常改性的方法有两种:(1)通过异氰酸酯与多元醇的逐步聚合反应改变其化学结构;(2)在聚氨酯中加入有机或无机填料。近年来,聚合物/无机纳米复合材料具有的潜在优越性能,引起了科学界的广泛关注。由于纳米材料的小尺寸效应、表面效应、量子尺寸效应和宏观量子隧道效应,即使在较低的添加量下,聚合物/无机纳米复合材料仍会表现出比普通聚合物更优越的性能。纳米CaCO3是一种无毒、无刺激性、无气味的白色软质填料,与其它普通填料相比,处于较低的价位。近年来,随着纳米材料和纳米技术的兴起,纳米CaCO3已经广泛应用于各种聚合物中,尤其是国内众多万吨级的纳米碳酸钙生产线的建成,更是迫切要求在包括聚氨酯在内的一系列领域中获得应用,但是,有关CaCO3在聚氨酯中应用的研究还不多。经过纳米SiO2改性的聚合物具有质轻、高强度、高韧性等优点,是科学界应用最广泛的无机填料之一。因此,制备综合性能优异的聚氨酯/纳米SiO2复合材料显得尤为重要。聚氨酯是一种易燃的高分子材料,提高阻燃性是聚氨酯行业重要的研究内容之一。纳米硼酸锌是一种高热稳定性的无毒阻燃剂,具有比重小、易分散、粒度小、无毒性、受热稳定性好等显著特点。因此,把纳米硼酸锌添加到聚氨酯基体中提高其阻燃性是可行的。基于以上原因,本论文在聚氨酯体系中,选用纳米碳酸钙(CaCO3)、纳米二氧化硅(SiO2)和纳米硼酸锌(ZB)为无机填料。纳米粒子在聚氨酯中应用的关键是纳米粒子在基体中的均匀分散以及与基体具有好的相容性。本论文(1)利用多聚磷酸为磷酸化试剂,通过酯化反应,合成了系列酯含量高的磷酸酯表面活性剂;(2)用系列表面活性剂对无机纳米粒子进行表面改性,改善了无机纳米粒子的表面性能;(3)将改性后的纳米粒子首先分散在聚氨酯的反应单体多元醇中,制备出均匀分散的分散液,随后通过原位聚合法制备出分散性良好的聚氨酯/纳米无机复合材料。在此基础上,方面研究了合成表面改性剂的最佳条件,探讨了改性后无机纳米粒子的表面性能及相互作用机理;另一方面研究了不同种类纳米粒子的加入对聚氨酯内部结构、热稳定性及力学性能的影响,着重探讨了经聚丙二醇磷酸酯改性的纳米粒子在聚氨酯中的均匀分散以及界面之间的相互作用。本论文首次用聚氨酯的反应单体多元醇与多聚磷酸通过酯化反应,制备出色泽好、单酯含量高的多元醇磷酸酯;无机纳米粉体经其表面改性后,由于修饰在表面的长链烷氧基与多元醇相同,使无机纳米粉体能够均匀地分散在多元醇中;随后通过原位聚合反应,进一步均匀分散在聚氨酯中,在根本上解决了无机纳米粉体在聚氨酯中分散不均的难题。所述多元醇可以是合成聚氨酯的各种醇类,其与多聚磷酸合成多元醇磷酸酯的工艺简单、原料易得、环保、成本低廉。所采用的无机填料来源广、易加工、改性过程成本低;工艺简单、安全无污染,适用于聚氨酯的产业化发展。本论文将油酸改性的纳米硼酸锌通过原位聚合法添加到聚氨酯中,制备出分散性能良好的聚氨酯/纳米硼酸锌复合材料。由于聚氨酯易燃,而硼酸锌是一种高热稳定性的无毒阻燃剂,因此,把两者复合起来适用于阻燃型聚氨酯的发展。本论文还将经油酸改性的纳米碳酸钙通过原位聚合法添加到水性聚氨酯中,制备出的水性聚氨酯/纳米碳酸钙复合材料综合性能良好,为无机纳米粒子在水性聚氨酯中的应用奠定了基础。

【Abstract】 Polyurethane (PU) is one of the most important and versatile class of polymer materials in industry, which has been widely used in adhesives, synthetic leather, construction, automatic applications, etc. Hence, it has received wide attention for its synthesis, morphology, chemical and mechanical properties. PU generally consists of a soft segment which is a high molecular weight macrodiol and a hard segment which is composed of diisocyanate and low molecular weight diol or diamine. Due to the difference in the chemical structure of the soft and hard segment, microphase separation takes easily arising from the thermodynamic incompatibility in PU. The domain morphology in such phase-separated structures achieved by phase separation or phase mixing has a great influence on the PU properties, which has limited its wide engineering usages. To extend the application fields of PU, researches are compelled to search for alternative PU with higher performance.In general, there are two approaches:the first is to change the molecular structure of polyurethane by modification of its basic building blocks. The second is to introduce the inorganic filler into the polyurethane matrix. Nanocomposites attract increasing interests because of their potential of providing novel performances. The tremendous interfacial area in a polymer nanocomposite helps to influence the composites properties to a great extent even at rather low filler loading. However, the homogeneous dispersion of nanoparticles is very difficult to achieve, because nanoparticles with high surface energy tend to easily agglomerate. To break up the agglomerates, studies have been carried out on the approaches of in situ polymerization of monomers in the presence of nanoparticles and other intercalation polymerization techniques.In this paper, a-chlorohydrin phosphate ester and a high molecular weight poly (propylene glycol) phosphate ester (PPG-P) were firstly obtained by polyphosphoric acid (PPA). Secondly, phosphate betaine was obtained by the reaction ofa-chlorohydrin phosphate and tertiary amine.PPG and TDI were used as main materials, nano-CaCO3, nano-SiO2, nano-ZB were used as fillers to prepare PU nanocomposites.In this paper, we prepared PU/CaCO3, PU/SiO2, PU/ZB and WPU/CaCO3 nanocomposites via in-situ polymerization.In polyurethane/CaCO3 nanocomposites experiments, it was found that PPG-P had successfully attached on the surface of nano-CaCO3 and influenced the decomposition of CaCO3. Well-dispersed and long-term stable nano-CaCO3/polyol dispersions were prepared by a mechanochemical approach with the aid of poly (propylene glycol) phosphate ester (PPG-P). Polyurethane (PU)/CaCO3 nanocomposites were prepared by further in situ polymerization with 6wt% nano-CaCO3. The microstructure and dispersion of nano-CaCO3 in the nanocomposites were investigated. It was found that well dispersion was obtained up to 6 wt% of the surface treated CaCO3 loading for PU/CaCO3 nanocomposite. The segmented structures of PU were not interfered by the presence of nano-CaCO3 in these nanocomposites as evidenced by Fourier transform infrared. Compared with the pure PU, a significant improvement in thermal stability was observed with the addtion of 6wt% of the surface treated CaCO3. The experimental results suggested that the properties of nanocomposites were correlated with the dispersion of nano-CaCO3 in PU and the interfacial interactions between nano-CaCO3 and polymer matrix.In polyurethane/SiO2 nanocomposites experiments, it was found that PPG-P had successfully grafted onto the surface of nano-SiO2 and influenced the dispersion and decomposition of nano-SiO2. Then a series of polyurethane (PU) nanocomposites with the blank SiO2 and the surface treated SiO2 have been successfully prepared via in situ polymerization. The surface modification of nano-SiO2, the microstructure and the properties of nanocomposites were investigated by FTIR, SEM, XRD and TGA. The dispersion quality of SiO2 nanoparticles in PU has greatly improved by the addition of PPG-P. The segmented structure of PU has not been affected by the presence of SiO2 in these nanocomposites. The incorporation of the surface treated SiO2 into PU doesn’t improve the first decomposition temperature, but does improve the second decomposition temperature, and in the mass rang of 3 wt% to 10 wt%, the thermal stability of polyurethane increases with increasing nano-SiO2 content due to more interaction between nano-SiO2 particles and macromolecular chainsA series of polyurethane/zinc borate nanocomposites were successfully prepared via in situ polymerization. The PPG-P and OA had successfully grafted onto the surface of ZB and the dispersion quality of ZB nanoparticles in PU has greatly improved by the addition of 1% OA. The segmented structure of PU has not been affected by the presence of ZB in these nanocomposites. Moreover, the incorporation of ZB nanoparticles modified with OA greatly improved the thermal property of PU without disrupting the intrinsic structure of PU, in the range of 1%-4%, the proper amount of OAZB incorporating into PU is 2%.A series of WPU/CaCO3 nanocomposites have been successfully prepared via in situ polymerization. OA has greatly improved the surface characteristics of nanoparticles, from hydrophilic to hydrophobic. SEM examination of the fractured surfaces of nanocomposites showed that OA-CaCO3 achieved well dispersion in WPU matrix. FTIR analysis suggested no major changes in the chemical structure of WPU in the presence of 2 wt% CaCO3. Thermal stability of WPU measured by TGA was greatly improved with the addition of OA-CaCO3. Meanwhile, the mechanical properties of the nanocomposites, examined by tensile tests, showed higher tensile strength than that of the pure WPU, especially incorporation of OA-CaCO3.This paper also investigated the modification of nano-filler by PPG-P and proposed a simple model for the dispersion of nano-filler in PU matrix with the modification of PPG-P. The long alkyl chain of PPG-P is the same as PU matrix’, thus, nanoparticles modified with it can exhibit good dispersion and compatibility with PU matrix. The process of preparing phosphate ester is simple and the cost is low, moreover, the source of inorganic filler used is wide, easily to processing and the cost is low, thus, it is useful for the development of PU industry.

  • 【网络出版投稿人】 吉林大学
  • 【网络出版年期】2011年 09期

